[Data]
'''
# TaVAu2Br PBE optimized geometry
# DFT total energy	-4.607	eV/atom
# total moment	0.38	μB per formula unit
# E_form (uncorrected)	1.23	eV/atom
# crystal system	tetragonal
data_TaVAu2Br
_cell_length_a 5.186
_cell_length_b 5.186
_cell_length_c 4.861
_cell_angle_alpha 90.00
_cell_angle_beta 90.00
_cell_angle_gamma 90.00
_space_group_name_H-M_alt 'P 4/m m m'
_space_group_IT_number 123
_space_group_name_Hall '-P 4 2'
loop_
_atom_site_label
_atom_site_type_symbol
_atom_site_fract_x
_atom_site_fract_y
_atom_site_fract_z
Ta1 Ta 0.000 0.000 0.000
V1 V 0.500 0.500 0.500
Au1 Au 0.000 0.500 0.000
'''

[Assignment]
Now restate the entries earlier on from the line with "_atom_site_fract_x" to the end exactly.

[Completed]
_atom_site_fract_x
_atom_site_fract_y
_atom_site_fract_z
Ta1 Ta 0.000 0.000 0.000
V1 V 0.500 0.500 0.500
Au1 Au 0.000 0.500 0.000